T32 NINDS Institutional Research Training Grant

The NINDS Institutional Training Grant is intended to support Training Programs that provide outstanding research training with the breadth and depth to prepare advanced predoctoral (years 3 and 4) and/or postdoctoral trainees to have a successful independent career in the complex, multidisciplinary, integrative, and rapidly evolving research enterprise. The programs must have a specific theme, which may focus on fundamental knowledge about the brain and the nervous system, disease-related basic research, clinical and or translational research. Regardless of the theme, the Programs supported under this mechanism are expected to provide training that ensures a thorough understanding of experimental design, strong quantitative and analytical skills, and a deep understanding of statistical methodology. Programs should also provide trainees with strong oral and written communication skills that allow them to reach a wide variety of audiences.   

Program Announcements

Due Dates for all Applications

  • May 25, 2024
  • May 25, 2025
  • May 25, 2026 

List of Funded Awards under this mechanism

PD/PI Eligibility
Established investigators

Appointee Eligibility
U.S. citizens or permanent residents; research doctoral program; clinical doctoral program; research postdoctoral program; clinical postdoctoral program

Institution Eligibility
U.S. domestic institutions

Additional Information

The objective of this NINDS Institutional Research Training Program is to support outstanding training for advanced predoctoral (years 3 and 4) and postdoctoral scientists.

The training should provide both breadth and depth of understanding in disciplines needed to make important advances in the rapidly evolving research enterprise that is increasingly complex and multidisciplinary. These programs should prepare investigators to draw on knowledge and approaches from multiple disciplines and levels of analysis, with an emphasis on applying this broad knowledge in novel ways to yield new discoveries about nervous system mechanisms. Moreover, these programs must provide investigators with strong foundational skills in experimental design, statistical methodology, and quantitative reasoning.

Programs may support predoctoral students, PhD postdoctoral fellows, fellowship-stage clinicians, or any combination of trainees from these three groups. For institutions that have MSTP programs and intend to support MD/PhD students with this mechanism, the PD/PI should ensure that the majority of trainees supported by the program are those seeking a PhD rather than an MD/PhD. Training Programs that will support both predoctoral and postdoctoral fellows should have a single program in with both groups of trainees participate together and interact.

Awards will typically be made for a maximum of 4 trainee slots per year, although an exception may be made in rare circumstances for up to 8 slots. Those interested in applying for more than 4 slots of support per year are advised to contact Stephen Korn, Ph.D., Director of Training and Workforce Development, at DirectorOTWD@ninds.nih.gov.  Applicants may request support for advanced (dissertation stage) predoctoral Ph.D. and M.D. students, postdoctoral fellows, or a mix of both. (NINDS does not support 1st or 2nd year graduate students under this PAR). Applications must specify the anticipated predoctoral to postdoctoral ratio.

After a training grant has been awarded, T32 directors who wish to make changes in this ratio must obtain prior approval from Stephen Korn, Ph.D., Director of Training and Workforce Development, at DirectorOTWD@ninds.nih.gov. If the original application requested support exclusively for either predoctoral or postdoctoral trainees, the general policy will be to not allow trainees in another category to receive support (as such support has not been through the peer review process). However, exceptions are possible and will require that additional information be provided for administrative review and prior approval.

Someone pasted crystal structures at this point
=====
# BaNaBiWO6
Computed PXRD pattern, CuKα. Input: the PBE+U geometry in the Materials Project.

Structural model:
```
data_BaNaBiWO6
_symmetry_space_group_name_H-M 'P n n n'
_symmetry_Int_Tables_number 48
_cell_length_a 8.4324
_cell_length_b 8.5017
_cell_length_c 8.5018
_cell_angle_alpha 90.00
_cell_angle_beta 90.00
_cell_angle_gamma 90.00
loop_
_symmetry_equiv_pos_as_xyz
'x,y,z'
'-x,-y,-z'
'-x+1/2,-y+1/2,z'
'x+1/2,y+1/2,-z'
'x,-y+1/2,-z+1/2'
'-x,y+1/2,z+1/2'
'-x+1/2,y,-z+1/2'
'x+1/2,-y,z+1/2'
loop_
_atom_site_label
_atom_site_type_symbol
_atom_site_fract_x
_atom_site_fract_y
_atom_site_fract_z
_atom_site_occupancy
Ba1 Ba 0.2500 0.2500 0.2500 1
Ba2 Ba 0.2500 0.2500 0.7500 1
Na1 Na 0.2500 0.7500 0.2500 1
Na2 Na 0.2500 0.7500 0.7500 1
Bi1 Bi 0.0000 0.0000 0.0000 1
W1 W 0.0000 0.0000 0.5000 1
O1 O 0.0352 0.2270 0.4816 1
O2 O 0.0493 0.5281 0.2250 1
O3 O 0.2246 0.5237 0.9470 1
```

Top 8 peaks for 2θ = 15–90°, most intense first:
2theta, d [Å], Rel. int., (hkl)
29.8, 2.993, 100.0, 2 0 2
29.7, 3.006, 48.8, 0 2 2
52.8, 1.733, 43.8, 2 2 4
20.9, 4.251, 30.5, 0 2 0
42.5, 2.125, 27.2, 0 4 0
53.1, 1.726, 22.0, 4 2 2
70.0, 1.344, 18.9, 2 0 6
62.0, 1.497, 15.9, 4 4 0

=====

# BaNaBiWO6
Computed PXRD pattern, CuKα. Input: the PBE+U geometry in the Materials Project.

Structural model:
```
data_BaNaBiWO6
_symmetry_space_group_name_H-M 'F -4 3 m'
_symmetry_Int_Tables_number 216
_symmetry_space_group_name_Hall 'F -4 2 3'
_cell_length_a 8.5652
_cell_length_b 8.5652
_cell_length_c 8.5652
_cell_angle_alpha 90.00
_cell_angle_beta 90.00
_cell_angle_gamma 90.00
loop_
_atom_site_label
_atom_site_type_symbol
_atom_site_fract_x
_atom_site_fract_y
_atom_site_fract_z
_atom_site_occupancy
Ba1 Ba 0.0000 0.0000 0.0000 1
Na1 Na 0.0000 0.0000 0.5000 1
Bi1 Bi 0.2500 0.2500 0.7500 1
W1 W 0.2500 0.2500 0.2500 1
O1 O 0.0220 0.2500 0.2500 1
```

Top 8 peaks for 2θ = 15–90°, most intense first:
2theta, d [Å], Rel. int., (hkl)
29.5, 3.028, 100.0, 2 2 0
52.3, 1.748, 41.3, 4 2 2
20.7, 4.283, 32.0, 2 0 0
42.2, 2.141, 29.2, 4 0 0
84.7, 1.145, 22.6, 6 4 2
69.4, 1.354, 19.0, 6 2 0
61.2, 1.514, 18.5, 4 4 0
47.5, 1.915, 14.4, 4 2 0

=====

# BaSrVBiO6
Computed PXRD pattern, CuKα. Input: the PBE+U geometry in the Materials Project.

Structural model:
```
data_BaSrVBiO6
_symmetry_space_group_name_H-M 'F -4 3 m'
_symmetry_Int_Tables_number 216
_symmetry_space_group_name_Hall 'F -4 2 3'
_cell_length_a 8.4309
_cell_length_b 8.4309
_cell_length_c 8.4309
_cell_angle_alpha 90.00
_cell_angle_beta 90.00
_cell_angle_gamma 90.00
loop_
_atom_site_label
_atom_site_type_symbol
_atom_site_fract_x
_atom_site_fract_y
_atom_site_fract_z
_atom_site_occupancy
Ba1 Ba 0.0000 0.0000 0.0000 1
Sr1 Sr 0.0000 0.0000 0.5000 1
V1 V 0.2500 0.2500 0.7500 1
Bi1 Bi 0.2500 0.2500 0.2500 1
O1 O 0.0234 0.2500 0.7500 1
```

Top 8 peaks for 2θ = 15–90°, most intense first:
2theta, d [Å], Rel. int., (hkl)
30.0, 2.981, 100.0, 2 2 0
53.2, 1.721, 40.0, 4 2 2
42.9, 2.108, 30.3, 4 0 0
86.4, 1.127, 22.3, 6 4 2
18.2, 4.868, 22.2, 1 1 1
=====

Applicants for the NINDS Institutional Research Training Grant program should submit a letter of intent no later than 30 days prior to the application deadline to DirectorOTWD@ninds.nih.gov.

T32 Data Tables: Newly revised research training data tables for use with FY 2016 institutional training grant applications are now available. Table formats, instructions, and a completed set of tables with sample data may be found on the NIH website. For electronic application submission using the SF424 (R&R) form set, the data tables are to be saved as a single file. The List of Data Tables submitted with your application should be the first page of the data tables attachment and will serve as a table of contents for that attachment.

Relevant Policy Notices
NOT-OD-15-091 Publication Reporting Instructions for Progress Reports 



Stephen Korn, Ph.D. | Director, Office of Training & Workforce Development 